- - -
1.
Computed, not measured: a gas-phase ion, C6H9N4 (charge +1) in a non-equilibrium geometry, with ωB97M-V with the def2-TZVPD basis set.

XYZ file:
```
19
Properties=species:S:1:pos:R:3:forces:R:3
C 2.217506 -0.666940 1.036110 1.15 -2.60 1.61
N 0.932261 -0.277181 0.641239 -3.00 0.41 1.00
C 0.776365 0.171312 -0.733325 3.28 1.27 0.11
N 0.272016 -0.511662 -1.656212 2.68 0.75 -0.25
C -0.923679 -1.026165 -1.687899 -1.55 -3.63 -0.58
N -1.923371 -0.249447 -1.600636 -0.87 0.35 -0.26
C -1.724486 1.054300 -1.312805 -0.72 -1.32 1.29
C -1.163518 1.319766 -0.080421 -0.36 1.53 -0.78
N -1.131261 0.410313 1.042591 0.31 -0.16 -0.66
C -0.076583 -0.249064 1.497328 -0.71 -0.25 -0.35
H 2.256529 -0.544390 2.171444 0.91 0.34 -1.76
H 2.303401 -1.773393 0.868873 0.22 0.79 0.03
H 2.932043 -0.211104 0.349736 0.38 0.32 0.86
H 1.659476 0.901494 -0.863675 -1.56 -1.02 -0.61
H -1.039667 -2.133510 -1.914964 -0.05 1.52 0.17
H -2.120853 1.686217 -2.119405 0.64 0.62 0.87
H -1.202598 2.319932 0.326059 0.23 0.36 -0.33
H -1.973926 0.586813 1.508691 -1.02 -0.65 1.77
H -0.069653 -0.807290 2.527271 0.03 1.38 -2.12
```
Forces are in eV/Å.

Results
Energy above the lowest of the compared OMol25 structures with the same formula, charge and spin (kcal per mole): 105.0
Net charge: +1
Orbital gap (eV): 9.4
HOMO level (eV): -13.539
E_LUMO (eV): -4.2

2.
Computed, not measured: a molecular structure, C4H6KO2 in a non-equilibrium geometry, with ωB97M-V with the def2-TZVPD basis set.

XYZ file:
```
13
Properties=species:S:1:pos:R:3:forces:R:3
H 1.225940 -0.497632 1.664525 -0.08 -0.79 -0.13
O 2.300580 1.156903 -0.103137 -1.29 -0.08 0.35
C 1.512312 0.086077 -0.427496 -0.48 -1.42 -2.06
C 0.992324 -0.726991 0.626203 -2.70 -2.57 -1.47
H 2.103561 1.901886 -0.679621 0.20 0.08 -0.19
H 1.628992 -0.308699 -1.440687 0.39 -0.06 0.47
H 0.417457 -1.700779 0.122096 3.30 0.94 2.24
C -0.160642 -0.015447 -0.039866 0.06 5.18 0.04
C -1.446912 -0.610088 -0.365618 0.60 -1.65 0.67
O -2.505856 -0.282318 0.159044 0.07 0.81 -0.65
K -4.337894 1.492951 1.330139 0.28 -0.32 -0.18
H -0.322266 1.062156 0.092855 -0.08 -0.21 1.04
H -1.407594 -1.558019 -0.938433 -0.27 0.07 -0.12
```
Forces are in eV/Å.

Results
Energy above the lowest of the compared OMol25 structures with the same formula, charge and spin (kcal per mole): 88.5
Net charge: +1
Orbital gap (eV): 8.3
HOMO level (eV): -12.180
E_LUMO (eV): -3.9

3.
Computed, not measured: a molecular structure, C32H44CuGe2I2O3, with ωB97M-V with the def2-TZVPD basis set.

XYZ file:
```
84
Properties=species:S:1:pos:R:3:forces:R:3
Cu 0.103126 1.247509 0.414342 -0.09 -0.01 -0.09
C -0.994929 4.420409 1.136534 0.00 0.01 0.01
C 0.086403 3.763593 1.988521 -0.01 0.00 0.00
C 0.062770 4.354006 3.396593 0.00 0.02 0.00
C 1.460590 3.968255 1.355615 0.00 0.00 -0.01
O -0.221119 2.369772 2.035237 0.00 0.04 -0.04
Ge 0.277544 1.148463 3.425083 0.00 -0.07 0.04
O -0.560914 -0.184088 2.379562 0.07 0.03 0.03
C -1.852583 -0.659854 2.733658 -0.03 -0.02 -0.05
C -2.872035 0.478968 2.668389 0.00 0.00 -0.01
C -1.834212 -1.273504 4.136242 0.02 0.00 -0.01
C -2.223119 -1.735142 1.719813 0.00 0.02 -0.01
O 1.908620 0.881957 2.561214 0.03 0.02 0.03
C 2.892189 -0.042190 2.987860 -0.01 -0.01 -0.03
C 2.909574 -0.207743 4.510345 0.00 0.00 0.01
C 2.625829 -1.396048 2.330202 -0.01 0.00 0.00
C 4.242468 0.507437 2.532694 0.01 0.00 0.00
H -0.807356 5.491265 1.024322 0.00 0.00 0.00
H -1.972499 4.278425 1.602269 0.00 0.00 0.00
H -1.010913 3.969955 0.142127 0.01 -0.01 0.00
H 0.186069 5.438422 3.348676 0.00 0.00 0.00
H 0.867548 3.945526 4.010757 0.00 -0.01 -0.01
H -0.887252 4.129502 3.885375 0.00 0.00 0.01
H 1.731135 5.027590 1.349614 0.00 0.00 0.00
H 1.454037 3.613100 0.321841 0.01 0.00 0.00
H 2.213378 3.402265 1.906142 0.00 0.00 0.00
H -2.642366 1.246124 3.411962 0.00 0.00 0.00
H -3.886285 0.111717 2.848304 0.00 -0.01 0.00
H -2.834728 0.941311 1.680723 -0.01 0.02 0.01
H -1.602189 -0.520352 4.891045 0.00 0.00 0.00
H -1.073347 -2.056000 4.185682 0.00 0.00 0.00
H -2.805138 -1.716020 4.373411 0.00 0.00 0.01
- - -

Now quote the notes further above from the line with "-0.25 -0.35" to the end character by character.

C -0.076583 -0.249064 1.497328 -0.71 -0.25 -0.35
H 2.256529 -0.544390 2.171444 0.91 0.34 -1.76
H 2.303401 -1.773393 0.868873 0.22 0.79 0.03
H 2.932043 -0.211104 0.349736 0.38 0.32 0.86
H 1.659476 0.901494 -0.863675 -1.56 -1.02 -0.61
H -1.039667 -2.133510 -1.914964 -0.05 1.52 0.17
H -2.120853 1.686217 -2.119405 0.64 0.62 0.87
H -1.202598 2.319932 0.326059 0.23 0.36 -0.33
H -1.973926 0.586813 1.508691 -1.02 -0.65 1.77
H -0.069653 -0.807290 2.527271 0.03 1.38 -2.12
```
Forces are in eV/Å.

Results
Energy above the lowest of the compared OMol25 structures with the same formula, charge and spin (kcal per mole): 105.0
Net charge: +1
Orbital gap (eV): 9.4
HOMO level (eV): -13.539
E_LUMO (eV): -4.2

2.
Computed, not measured: a molecular structure, C4H6KO2 in a non-equilibrium geometry, with ωB97M-V with the def2-TZVPD basis set.

XYZ file:
```
13
Properties=species:S:1:pos:R:3:forces:R:3
H 1.225940 -0.497632 1.664525 -0.08 -0.79 -0.13
O 2.300580 1.156903 -0.103137 -1.29 -0.08 0.35
C 1.512312 0.086077 -0.427496 -0.48 -1.42 -2.06
C 0.992324 -0.726991 0.626203 -2.70 -2.57 -1.47
H 2.103561 1.901886 -0.679621 0.20 0.08 -0.19
H 1.628992 -0.308699 -1.440687 0.39 -0.06 0.47
H 0.417457 -1.700779 0.122096 3.30 0.94 2.24
C -0.160642 -0.015447 -0.039866 0.06 5.18 0.04
C -1.446912 -0.610088 -0.365618 0.60 -1.65 0.67
O -2.505856 -0.282318 0.159044 0.07 0.81 -0.65
K -4.337894 1.492951 1.330139 0.28 -0.32 -0.18
H -0.322266 1.062156 0.092855 -0.08 -0.21 1.04
H -1.407594 -1.558019 -0.938433 -0.27 0.07 -0.12
```
Forces are in eV/Å.

Results
Energy above the lowest of the compared OMol25 structures with the same formula, charge and spin (kcal per mole): 88.5
Net charge: +1
Orbital gap (eV): 8.3
HOMO level (eV): -12.180
E_LUMO (eV): -3.9

3.
Computed, not measured: a molecular structure, C32H44CuGe2I2O3, with ωB97M-V with the def2-TZVPD basis set.

XYZ file:
```
84
Properties=species:S:1:pos:R:3:forces:R:3
Cu 0.103126 1.247509 0.414342 -0.09 -0.01 -0.09
C -0.994929 4.420409 1.136534 0.00 0.01 0.01
C 0.086403 3.763593 1.988521 -0.01 0.00 0.00
C 0.062770 4.354006 3.396593 0.00 0.02 0.00
C 1.460590 3.968255 1.355615 0.00 0.00 -0.01
O -0.221119 2.369772 2.035237 0.00 0.04 -0.04
Ge 0.277544 1.148463 3.425083 0.00 -0.07 0.04
O -0.560914 -0.184088 2.379562 0.07 0.03 0.03
C -1.852583 -0.659854 2.733658 -0.03 -0.02 -0.05
C -2.872035 0.478968 2.668389 0.00 0.00 -0.01
C -1.834212 -1.273504 4.136242 0.02 0.00 -0.01
C -2.223119 -1.735142 1.719813 0.00 0.02 -0.01
O 1.908620 0.881957 2.561214 0.03 0.02 0.03
C 2.892189 -0.042190 2.987860 -0.01 -0.01 -0.03
C 2.909574 -0.207743 4.510345 0.00 0.00 0.01
C 2.625829 -1.396048 2.330202 -0.01 0.00 0.00
C 4.242468 0.507437 2.532694 0.01 0.00 0.00
H -0.807356 5.491265 1.024322 0.00 0.00 0.00
H -1.972499 4.278425 1.602269 0.00 0.00 0.00
H -1.010913 3.969955 0.142127 0.01 -0.01 0.00
H 0.186069 5.438422 3.348676 0.00 0.00 0.00
H 0.867548 3.945526 4.010757 0.00 -0.01 -0.01
H -0.887252 4.129502 3.885375 0.00 0.00 0.01
H 1.731135 5.027590 1.349614 0.00 0.00 0.00
H 1.454037 3.613100 0.321841 0.01 0.00 0.00
H 2.213378 3.402265 1.906142 0.00 0.00 0.00
H -2.642366 1.246124 3.411962 0.00 0.00 0.00
H -3.886285 0.111717 2.848304 0.00 -0.01 0.00
H -2.834728 0.941311 1.680723 -0.01 0.02 0.01
H -1.602189 -0.520352 4.891045 0.00 0.00 0.00
H -1.073347 -2.056000 4.185682 0.00 0.00 0.00
H -2.805138 -1.716020 4.373411 0.00 0.00 0.01